When Love is Perfect, the LOVE is EQUAL to the PERSONS who love.

It has taken me perhaps my entire earthly life to really come to understand something about the Holy Spirit.
These crystal structures were left in the text by mistake.
1.
4
Lattice="-1.237 -0.177 3.645 -0.104 -3.845 -0.222 6.671 -0.310 2.250" Properties=species:S:1:pos:R:3 comment="PBE-GGA LiCaIn2, optimized geometry" magmom_total_mub_per_cell=0.0 dos_at_fermi_per_ev_cell=1.56 vol_a3_per_cell=104.6 formation_enthalpy_0k_mev_per_atom=-222 pbc="T T T"
In 0.147 -0.007 0.050
In 1.155 -2.096 2.327
Li 3.005 -0.140 1.013
Ca 4.358 -2.245 3.407

***

2.
8
Lattice="6.149 0.250 0.000 -0.261 6.149 0.000 -2.944 -3.199 5.340" Properties=species:S:1:pos:R:3 comment="PBE-GGA TaAg2HgS4, optimized geometry" magmom_total_mub_per_cell=0.0 dos_at_fermi_per_ev_cell=2.41 vol_a3_per_cell=202.3 raw_formation_energy_mev_per_atom=-367.4 pbc="T T T"
S 4.333 1.922 1.322
Ag 3.075 0.125 2.673
S 1.556 4.477 1.322
Hg 0.000 0.000 0.008
Ag -0.131 3.074 2.673
Ta 0.000 0.000 5.338
S 1.278 1.389 4.014
S -1.278 -1.389 4.014

***

3.
8
Lattice="7.286 0.109 0.155 -3.493 6.395 -0.155 -3.493 -2.321 5.961" Properties=species:S:1:pos:R:3 comment="PBE-GGA Cs2AgCl5, optimized geometry" magmom_total_mub_per_cell=0.0 relative_energy_kj_per_mol_atoms=0.0 vol_a3_per_cell=282.2 raw_formation_energy_mev_per_atom=-1147.6 pbc="T T T"
Ag -0.062 0.036 0.051
Cl -3.384 -0.441 4.507
Cl -3.384 4.388 1.119
Cl 1.801 0.894 1.273
Cs 0.227 4.226 1.388
Cs 0.227 -0.133 4.446
Cl -1.282 3.162 4.507
Cl -2.079 1.213 1.728

***

4.
5
Lattice="5.385 0.000 0.000 0.000 5.385 0.000 0.000 0.000 5.048" Properties=species:S:1:pos:R:3 comment="PBE-GGA KBaN2F, optimized geometry" magmom_total_mub_per_cell=4.0 dos_at_fermi_per_ev_cell=1.51 relative_energy_kj_per_mol_atoms=0.0 vol_a3_per_cell=146.4 raw_formation_energy_mev_per_atom=7.8 pbc="T T T"
K 2.693 2.693 2.524
Ba 0.000 0.000 0.000
N 0.000 2.693 0.000
N 2.693 0.000 0.000
F 0.000 0.000 2.524

=====

Entry 1:
Entry from the Alexandria database: a relaxed structure of YHoMnAg (PBE).

## Properties
**Density**: 7.42 g cm⁻³
**DFT formation energy**: -0.01 eV per atom

Cell lengths 5.0901, 5.0901, 5.0901 Å; angles 60.00, 60.00, 60.00 degrees
Last column: nearest neighbours and their distance in Å.
Positions (direct):
Y 0.2500 0.2500 0.2500  4 Mn 3.12, 4 Ag 3.12
Mn 0.0000 0.0000 0.0000  4 Ho 3.12, 4 Y 3.12
Ho 0.7500 0.7500 0.7500  4 Mn 3.12, 4 Ag 3.12
Ag 0.5000 0.5000 0.5000  4 Y 3.12, 4 Ho 3.12

Entry 2:
Entry from the Alexandria database: a relaxed structure of Ho2AgMo (PBE).

## Properties
**Density**: 9.82 g cm⁻³
**DFT formation energy**: 0.04 eV per atom

Cell lengths 3.4981, 3.4981, 7.3718 Å; angles 90.00, 90.00, 90.00 degrees
Last column: nearest neighbours and their distance in Å.
Positions (direct):
Mo 0.5000 0.5000 0.0000  8 Ho 3.01
Ho 0.0000 0.0000 0.7681  4 Mo 3.01, 4 Ag 3.17
Ho 0.0000 0.0000 0.2319  4 Mo 3.01, 4 Ag 3.17
Ag 0.5000 0.5000 0.5000  8 Ho 3.17, 4 Ag 3.50

=====

(1)
Fe14SiW: optimized geometry, PBE.

Its total DFT energy (no corrections) is -275.3 eV/cell.
When I was a little school girl, one of my primary school teachers explained the Holy Trinity to me using Saint Patrick’s metaphor of the three leaf clover. She explained that just as the three leaves of the clover are united in one stem, so too are the three persons of God really part of one whole being.
When I was younger, that analogy made adequate sense to me in terms of God the Father and God the Son, but I must admit that I remained quite confused about God the Holy Spirit. After all, that Third Person of the Most Blessed Trinity was not really a Person at all. He is neither the Father nor the Son, and is instead the RELATIONSHIP between the Father and the Son. And it was the relationship part that had me in a muddle.
As I grew older, various things in the world only served to aggravate my confusion about the Holy Spirit. It was not so much that I refused to believe in Him or in the Holy Trinity, it was that I was completely unable to understand anything about Him or to connect with Him in any way, and because of this I missed out on so much. You see, when I studied a little commercial law at university, I learned about Trusts (and in fact I later wrote a thesis about the tax implications of the trust structure). And in many ways that trust structure reminded me of the Holy Spirit. You see a Trust is not a person in law. A trust does not have its own rights and only acts as a conduit – or vehicle – through which the beneficiaries of the trust (which were about the same as God the Father in my mind) can be awarded their distributions or entitlements by the executor of the trust (who was represented by Christ crucified).
And so – in my mind at least – the Holy Spirit was a vessel just like that trust. And being a vessel (a relationship), the Holy Spirit was somehow LESS than the other Holy Persons of the Most Blessed Trinity in my mind (even though I believed that He was perfectly equal to Them, through my faith)…
And then – following my conversion which occurred through Grace and no merit of my own, while I was praying for my little niece who was so very sick – I suddenly (in an instant) came to understand that the Holy Spirit is EQUAL, PERFECTLY EQUAL, to the other Persons of the Most Blessed Trinity because He is the love between Them. You see, the LOVE between the Father and the Son is so perfect that the LOVE itself is perfect.
And my tiny human mind could never comprehend anything like that. You see, I love my children as much as it is possible to love another creature in this world. I would literally die for my children. And I know that my children love me too. And yet, my love is imperfect. I know this because sometimes my children annoy me. Sometimes they upset me. Sometimes they disappoint me or I disappoint them. And sometimes we misunderstand each other. And so, the greatest love that I can feel for another creature is imperfect.
Now, consider my love in comparison to the perfect Divine love of God… There is no annoyance, no upsets, no disappointment and no misunderstanding. There is simply PERFECTION. Perfect LOVE. And when Love is Perfect, the LOVE is EQUAL to the PERSONS who love, which means that the Holy Spirit is EQUAL to the Father and the Son...
_The article is interrupted by data records_
1.
A plane-wave DFT calculation with PBE with a Hubbard U was carried out for LaFeO3 after structural relaxation.

Output
Its symmetry is Pm-3m (221). The calculation puts the total magnetization at 0.760 μB/atom. Its density is 4.67 Mg/m³. The calculation puts the total energy at -0.4325 Ry per atom.

abc: 4.420 4.420 4.420
angles: 90.00 90.00 90.00
Sites, in units of the cell vectors:
La1 0.000 0.000 0.000
Fe1 0.500 0.500 0.500
O1 0.000 0.000 0.500
O2 0.000 0.500 0.000
O3 0.500 0.000 0.000

2.
A plane-wave DFT calculation with PBE with a Hubbard U was carried out for LaFeO3 after structural relaxation.

Output
Its symmetry is C2/c (15). The calculation puts the total magnetization at 1.000 μB/atom. Its density is 6.44 Mg/m³. The calculation puts the total energy at -0.5585 Ry per atom.

abc: 5.576 5.576 5.577
angles: 119.06 119.06 60.92
Sites, in units of the cell vectors:
La1 0.249 0.751 0.750
La2 0.751 0.249 0.250
Fe1 0.000 0.500 0.000
Fe2 0.500 0.000 0.500
O1 0.173 0.246 0.673
O2 0.246 0.173 0.173
O3 0.330 0.670 0.250
O4 0.670 0.330 0.750
O5 0.754 0.827 0.827
O6 0.827 0.754 0.327

3.
A plane-wave DFT calculation with PBE with a Hubbard U was carried out for LaFeO3 after structural relaxation.

Output
Its symmetry is Cmcm (63). The calculation puts the total magnetization at 0.602 μB/atom. Its density is 5.02 Mg/m³. The calculation puts the total energy at -0.5339 Ry per atom.

abc: 6.994 6.994 6.355
angles: 90.00 90.00 148.91
Sites, in units of the cell vectors:
La1 0.116 0.884 0.750
La2 0.884 0.116 0.250
Fe1 0.392 0.608 0.750
Fe2 0.608 0.392 0.250
O1 0.063 0.937 0.250
O2 0.359 0.641 0.029
O3 0.359 0.641 0.471
O4 0.641 0.359 0.529
O5 0.641 0.359 0.971
O6 0.937 0.063 0.750

4.
A plane-wave DFT calculation with PBE with a Hubbard U was carried out for La2Fe3O8 after structural relaxation.

Output
Its symmetry is P4/mmm (123). The calculation puts the total magnetization at 1.077 μB/atom. Its density is 5.12 Mg/m³. The calculation puts the total energy at -0.5264 Ry per atom.

abc: 3.881 3.881 12.348
angles: 90.00 90.00 90.00
Sites, in units of the cell vectors:
La1 0.000 0.000 0.172
La2 0.000 0.000 0.828
Fe1 0.500 0.500 0.000
Fe2 0.500 0.500 0.319
Fe3 0.500 0.500 0.681
O1 0.000 0.500 0.000
O2 0.000 0.500 0.313
O3 0.000 0.500 0.687
O4 0.500 0.000 0.000
O5 0.500 0.000 0.313
O6 0.500 0.000 0.687
O7 0.500 0.500 0.160
O8 0.500 0.500 0.840

5.
A plane-wave DFT calculation with PBE with a Hubbard U was carried out for LaFeOsO2 after structural relaxation.

Output
Its symmetry is P4/mmm (123). The calculation puts the total magnetization at 1.179 μB/atom. Its density is 5.18 Mg/m³. The calculation puts the total energy at -0.4369 Ry per atom.

abc: 4.154 4.154 7.743
angles: 90.00 90.00 90.00
Sites, in units of the cell vectors:
La1 0.000 0.000 0.000
Fe1 0.000 0.000 0.500
Os1 0.500 0.500 0.500
O1 0.000 0.500 0.000
O2 0.500 0.000 0.000

6.
A plane-wave DFT calculation with PBE with a Hubbard U was carried out for LaFePO after structural relaxation.
And today I settle back into my chair as I ponder this mystery. For I am a daughter of my Beloved God, and He has prepared a place for me in His Kingdom to contemplate such a love as that… He has prepared a place.
What could I possibly have to fear?
For with prayer, I stand on Holy Ground where everything is clear. Here. At the Foot of the Cross.